• Excerpt:
No. 1
# CaB8H4O15

CaB8H4O15 after structural relaxation (PBE, the Materials Project).

Properties
Calculated formation energy   -72.88 eV per formula unit
Total magnetization   0.00 μB per formula unit

```
CaB8H4O15
1.0
7.5977 0.0000 0.0000
0.0000 8.4078 0.0000
-3.0410 0.0000 9.3501
Ca B H O
2 16 8 30
Cartesian
-0.0385 0.0000 2.6235
4.5952 4.2039 6.7266
-1.3685 5.6690 4.5575
0.2014 5.5834 0.1748
-2.1095 7.6839 8.4506
-1.2731 7.7045 6.0088
0.1002 5.2478 2.6333
0.3354 7.7438 7.9416
0.8499 4.3283 6.8200
1.6824 4.4367 4.4621
2.8743 0.2328 4.8880
3.7068 0.1244 2.5301
4.2213 3.5399 1.4085
4.4566 1.0439 6.7168
5.8298 3.5006 3.3413
6.6662 3.4800 0.8995
4.3553 1.3795 9.1753
5.9252 1.4651 4.7926
-0.2604 3.9696 8.4734
2.4719 8.2627 0.9681
1.0508 8.0319 5.3770
2.3047 3.9600 1.6555
2.2521 8.1639 7.6946
3.5060 3.8280 3.9731
2.0848 4.0588 8.3820
4.8171 8.1735 0.8767
-1.8000 6.3984 5.6314
-2.6212 6.3216 8.3947
-2.1901 8.3035 7.0656
0.1888 0.0803 0.0633
-1.1568 0.1918 4.8661
-0.5512 6.1659 3.5672
0.3612 6.0607 1.4488
-0.3416 4.0882 7.4909
-0.6829 7.7038 8.8577
0.0853 7.5969 6.6032
1.3517 4.6767 3.1524
0.7406 4.5617 5.4657
1.5972 8.2395 4.5583
2.4672 0.1515 1.9358
2.9427 3.7492 0.9297
1.6140 7.9531 8.4204
2.0895 4.3554 7.4143
2.9595 4.0356 4.7918
3.8162 0.3578 3.8844
3.2050 0.4728 6.1977
4.4714 3.3930 2.7469
5.2396 3.4999 0.4924
4.8983 8.2921 1.8592
4.1955 1.8568 7.9013
5.1079 1.9620 5.7829
5.7135 4.3957 4.4840
4.3679 4.2842 9.2868
7.1779 2.1177 0.9554
6.7468 4.0996 2.2845
6.3567 2.1945 3.7187
```


No. 2
# NaGeAu

NaGeAu after structural relaxation (PBE, the Materials Project).

Properties
Calculated formation energy   -0.92 eV per formula unit

```
NaGeAu
1.0
-2.2563 3.6853 3.8082
2.2563 -3.6853 3.8082
2.2563 3.6853 -3.8082
Na Ge Au
2 2 2
Cartesian
0.0000 0.0000 0.0000
0.0000 3.6853 0.9612
2.2563 -1.2935 1.7565
2.2563 1.2935 1.7565
2.2563 2.1922 -0.7108
0.0000 1.4931 3.0974
```


No. 3
# Cd13I28

Cd13I28 after structural relaxation (PBE, the Materials Project).

Properties
Calculated formation energy   -32.13 eV per formula unit
Total magnetization   2.15 μB per formula unit

```
Cd13I28
1.0
4.3388 0.0000 0.0000
-2.1694 3.7575 0.0000
0.0000 0.0000 102.4297
Cd I
13 28
Cartesian
0.0000 0.0000 0.0000
0.0000 0.0000 7.3127
0.0000 0.0000 14.6371
0.0000 0.0000 43.9017
0.0000 0.0000 58.5272
0.0000 0.0000 73.1678
0.0000 0.0000 87.7976
2.1694 1.2525 21.9921
2.1694 1.2525 36.5376
2.1694 1.2525 51.2167
2.1694 1.2525 65.8472
2.1694 1.2525 80.4845
2.1694 1.2525 95.1158
0.0000 0.0000 20.2603
0.0000 0.0000 34.8114
0.0000 0.0000 49.4911
0.0000 0.0000 64.1249
0.0000 0.0000 78.7549
0.0000 0.0000 93.3904
0.0000 2.5050 1.7314
0.0000 2.5050 9.0427
0.0000 2.5050 16.3599
0.0000 2.5050 23.7152
0.0000 2.5050 30.4741
0.0000 2.5050 38.2671
0.0000 2.5050 45.6245
0.0000 2.5050 52.9415
0.0000 2.5050 60.2583
0.0000 2.5050 67.5748
0.0000 2.5050 74.8887
0.0000 2.5050 82.2057
0.0000 2.5050 89.5245
0.0000 2.5050 96.8405
2.1694 1.2525 5.5951
2.1694 1.2525 12.9086
2.1694 1.2525 28.0776
2.1694 1.2525 42.1763
2.1694 1.2525 56.8101
2.1694 1.2525 71.4402
2.1694 1.2525 86.0744
2.1694 1.2525 100.7129
```


No. 4
# Na8Ca3Si3GeS3O24

Na8Ca3Si3GeS3O24 after structural relaxation (PBE, the Materials Project).

Properties
Calculated formation energy   -105.68 eV per formula unit
Total magnetization   0.00 μB per formula unit

```
Na8Ca3Si3GeS3O24
1.0
9.3328 0.0000 0.0000
4.6403 8.1894 0.0000
0.2522 0.3882 22.6788
Na Ca Si Ge S O
24 9 9 3 9 72
Cartesian
0.0000 0.0000 0.0000
1.7951 3.1069 16.6983
0.2570 0.3830 6.8570
3.5730 6.1297 10.6630
1.9001 2.9610 5.3514
0.8322 0.5498 15.1084
3.7261 5.3738 3.5870
2.8625 0.3593 3.8652
6.1676 5.6544 1.7897
3.5258 0.7518 18.3235
4.7498 2.9460 6.6871
4.9881 3.3065 14.8486
5.1254 3.1341 0.0916
6.7486 5.9343 13.1532
8.2993 8.2451 10.9344
7.7739 3.1523 11.2409
9.3070 5.5679 15.0369
9.7803 6.2244 22.2010
6.4754 0.2476 8.8042
8.0718 3.0910 3.5018
9.7488 5.9452 7.1574
6.7494 0.4456 20.3988
8.4061 3.1362 18.3668
12.4193 6.0362 18.8151
1.9397 3.3262 20.0838
• Activity:
Next, quote the whole of the material earlier on with every line break kept.
• Solution:
No. 1
# CaB8H4O15

CaB8H4O15 after structural relaxation (PBE, the Materials Project).

Properties
Calculated formation energy   -72.88 eV per formula unit
Total magnetization   0.00 μB per formula unit

```
CaB8H4O15
1.0
7.5977 0.0000 0.0000
0.0000 8.4078 0.0000
-3.0410 0.0000 9.3501
Ca B H O
2 16 8 30
Cartesian
-0.0385 0.0000 2.6235
4.5952 4.2039 6.7266
-1.3685 5.6690 4.5575
0.2014 5.5834 0.1748
-2.1095 7.6839 8.4506
-1.2731 7.7045 6.0088
0.1002 5.2478 2.6333
0.3354 7.7438 7.9416
0.8499 4.3283 6.8200
1.6824 4.4367 4.4621
2.8743 0.2328 4.8880
3.7068 0.1244 2.5301
4.2213 3.5399 1.4085
4.4566 1.0439 6.7168
5.8298 3.5006 3.3413
6.6662 3.4800 0.8995
4.3553 1.3795 9.1753
5.9252 1.4651 4.7926
-0.2604 3.9696 8.4734
2.4719 8.2627 0.9681
1.0508 8.0319 5.3770
2.3047 3.9600 1.6555
2.2521 8.1639 7.6946
3.5060 3.8280 3.9731
2.0848 4.0588 8.3820
4.8171 8.1735 0.8767
-1.8000 6.3984 5.6314
-2.6212 6.3216 8.3947
-2.1901 8.3035 7.0656
0.1888 0.0803 0.0633
-1.1568 0.1918 4.8661
-0.5512 6.1659 3.5672
0.3612 6.0607 1.4488
-0.3416 4.0882 7.4909
-0.6829 7.7038 8.8577
0.0853 7.5969 6.6032
1.3517 4.6767 3.1524
0.7406 4.5617 5.4657
1.5972 8.2395 4.5583
2.4672 0.1515 1.9358
2.9427 3.7492 0.9297
1.6140 7.9531 8.4204
2.0895 4.3554 7.4143
2.9595 4.0356 4.7918
3.8162 0.3578 3.8844
3.2050 0.4728 6.1977
4.4714 3.3930 2.7469
5.2396 3.4999 0.4924
4.8983 8.2921 1.8592
4.1955 1.8568 7.9013
5.1079 1.9620 5.7829
5.7135 4.3957 4.4840
4.3679 4.2842 9.2868
7.1779 2.1177 0.9554
6.7468 4.0996 2.2845
6.3567 2.1945 3.7187
```


No. 2
# NaGeAu

NaGeAu after structural relaxation (PBE, the Materials Project).

Properties
Calculated formation energy   -0.92 eV per formula unit

```
NaGeAu
1.0
-2.2563 3.6853 3.8082
2.2563 -3.6853 3.8082
2.2563 3.6853 -3.8082
Na Ge Au
2 2 2
Cartesian
0.0000 0.0000 0.0000
0.0000 3.6853 0.9612
2.2563 -1.2935 1.7565
2.2563 1.2935 1.7565
2.2563 2.1922 -0.7108
0.0000 1.4931 3.0974
```


No. 3
# Cd13I28

Cd13I28 after structural relaxation (PBE, the Materials Project).

Properties
Calculated formation energy   -32.13 eV per formula unit
Total magnetization   2.15 μB per formula unit

```
Cd13I28
1.0
4.3388 0.0000 0.0000
-2.1694 3.7575 0.0000
0.0000 0.0000 102.4297
Cd I
13 28
Cartesian
0.0000 0.0000 0.0000
0.0000 0.0000 7.3127
0.0000 0.0000 14.6371
0.0000 0.0000 43.9017
0.0000 0.0000 58.5272
0.0000 0.0000 73.1678
0.0000 0.0000 87.7976
2.1694 1.2525 21.9921
2.1694 1.2525 36.5376
2.1694 1.2525 51.2167
2.1694 1.2525 65.8472
2.1694 1.2525 80.4845
2.1694 1.2525 95.1158
0.0000 0.0000 20.2603
0.0000 0.0000 34.8114
0.0000 0.0000 49.4911
0.0000 0.0000 64.1249
0.0000 0.0000 78.7549
0.0000 0.0000 93.3904
0.0000 2.5050 1.7314
0.0000 2.5050 9.0427
0.0000 2.5050 16.3599
0.0000 2.5050 23.7152
0.0000 2.5050 30.4741
0.0000 2.5050 38.2671
0.0000 2.5050 45.6245
0.0000 2.5050 52.9415
0.0000 2.5050 60.2583
0.0000 2.5050 67.5748
0.0000 2.5050 74.8887
0.0000 2.5050 82.2057
0.0000 2.5050 89.5245
0.0000 2.5050 96.8405
2.1694 1.2525 5.5951
2.1694 1.2525 12.9086
2.1694 1.2525 28.0776
2.1694 1.2525 42.1763
2.1694 1.2525 56.8101
2.1694 1.2525 71.4402
2.1694 1.2525 86.0744
2.1694 1.2525 100.7129
```


No. 4
# Na8Ca3Si3GeS3O24

Na8Ca3Si3GeS3O24 after structural relaxation (PBE, the Materials Project).

Properties
Calculated formation energy   -105.68 eV per formula unit
Total magnetization   0.00 μB per formula unit

```
Na8Ca3Si3GeS3O24
1.0
9.3328 0.0000 0.0000
4.6403 8.1894 0.0000
0.2522 0.3882 22.6788
Na Ca Si Ge S O
24 9 9 3 9 72
Cartesian
0.0000 0.0000 0.0000
1.7951 3.1069 16.6983
0.2570 0.3830 6.8570
3.5730 6.1297 10.6630
1.9001 2.9610 5.3514
0.8322 0.5498 15.1084
3.7261 5.3738 3.5870
2.8625 0.3593 3.8652
6.1676 5.6544 1.7897
3.5258 0.7518 18.3235
4.7498 2.9460 6.6871
4.9881 3.3065 14.8486
5.1254 3.1341 0.0916
6.7486 5.9343 13.1532
8.2993 8.2451 10.9344
7.7739 3.1523 11.2409
9.3070 5.5679 15.0369
9.7803 6.2244 22.2010
6.4754 0.2476 8.8042
8.0718 3.0910 3.5018
9.7488 5.9452 7.1574
6.7494 0.4456 20.3988
8.4061 3.1362 18.3668
12.4193 6.0362 18.8151
1.9397 3.3262 20.0838